The A-Team: 5 Questions with Joy Teddy, PR & Partnerships Manager at Analog Teams

3 min readJun 13, 2022


Joy Teddy is currently the Public Relations & Partnerships Manager at Analog Teams, where she is responsible for managing an international media team while overseeing all press; external & internal communications for Analog Teams & Partners across the company’s presence in 7 locations including Washington DC, Kenya, Ghana, South Africa, and Nigeria.

Explain your job to a five-year-old?

In my opinion, I think it’s a pretty hard profession for a kid to understand. I have an 8-year-old brother. I sometimes talk to him about my work and even had him follow me to work every day for a week and he had a hard time “getting it”.

In my best attempt, I would describe my job as someone who helps companies by highlighting their cool, interesting, and important stories to the world. The process is usually confusing to explain. I simplify it by saying, “See that cool photo on that news website? I sent that to them!” or that sort of thing.

What’s something you wish you knew earlier in your career or life?

The need to not overthink things and just get things moving. Just start, you do not need to have everything figured out. The vision gets clearer with progress.

Learning on the go is okay; it can be intimidating to come in with fresh eyes and limited experience, thinking you’re behind, in terms of skills and knowledge. But, it’s ok. It’s important to keep in mind that everyone has been at this stage at some point in their lives.

You don’t need a degree in PR to be successful. In fact, learning on the go is firmly part of the job. People new to PR should act like a sponge and spend the first few weeks soaking in every single thing possible.

Also, over-communicate and pay attention to every detail as much as possible. It can be easy to lose sight of the tiny details when working in a fast-paced environment, but details matter. Being overly communicative with your team could be the saving grace that keeps you one step ahead of the client.

What would you say is the most promising thing about tech in Africa?

Africa is closely looked at as the next big market. A description that has persisted for a while now. The African continent is home to the youngest population in the world,

The youth are the future workforce of the region, with about 11 million young people expected to enter the labor market each year for the next decade.

Technology is rapidly changing the employment landscape, generating jobs that demand a range of digital skills. If young Africans are to compete for high-tech, higher-paying jobs-and take advantage of increasing opportunities for innovation and entrepreneurship-technology in Africa might soar higher than you think.

The continent is full of promise and young people are its most valuable asset.

One thing you love about working at Analog Teams?

Analog Teams is a team of visionary people. Everyone shares the same vision and is dedicated to the mission. There is a genuine spirit of cooperation and shared goals.

Great people attract great people.

What single achievement are you most proud of?

Inserted here: records of crystals.
____________
Starting from a cell relaxed with PBE+U, the powder XRD pattern of Er2TmCo2B2O3 was calculated for Cu Kα, 1.54184 Å.
Lines closer than 0.1° are merged.

Cell and atoms:
Unit cell a=3.376 b=3.376 c=21.168 alpha=90.00 beta=90.00 gamma=90.00
Space group I4/mmm (No. 139)
Unique sites:
Er (0.000, 0.000, 0.138) (multiplicity 4)
Tm (0.000, 0.000, 0.500) (multiplicity 2)
Co (0.000, 0.500, 0.250) (multiplicity 4)
B (0.000, 0.000, 0.292) (multiplicity 4)
O (0.000, 0.000, 0.000) (multiplicity 2)
O (0.000, 0.000, 0.398) (multiplicity 4)

Most intense lines, 5 to 70 degrees two-theta, low angle first:
- 2θ = 29.3°, d 3.045, rel. 100, hkl 1 0 3
- 2θ = 33.9°, d 2.643, rel. 62, hkl 0 0 8
- 2θ = 37.7°, d 2.387, rel. 30, hkl 1 1 0
- 2θ = 45.9°, d 1.977, rel. 33, hkl 1 1 6
- 2θ = 54.9°, d 1.672, rel. 26, hkl 1 0 11
- 2θ = 65.6°, d 1.423, rel. 28, hkl 2 0 8
____________

The ability to consistently grow. I never stop learning.
Never, become that expert that believes there’s nothing new to learn.

********
For HPbCSNO, a crystal structure in the Materials Project, relaxed with PBE gives the theoretical PXRD pattern in this record (copper Kα).
Kinematic intensities with the Lorentz-polarization factor, no thermal factor.

Structure:
```
HPbCSNO
1.0
8.747 0.000 0.000
0.000 4.292 0.000
0.000 0.000 11.280
H Pb C S N O
4 4 4 4 4 4
direct
0.192 0.250 0.060
0.308 0.750 0.560
0.692 0.250 0.440
0.808 0.750 0.940
0.137 0.750 0.896
0.363 0.250 0.396
0.637 0.750 0.604
0.863 0.250 0.104
0.053 0.250 0.625
0.447 0.750 0.125
0.553 0.250 0.875
0.947 0.750 0.375
0.079 0.750 0.273
0.421 0.250 0.773
0.579 0.750 0.227
0.921 0.250 0.727
0.153 0.250 0.554
0.347 0.750 0.054
0.653 0.250 0.946
0.847 0.750 0.446
0.107 0.250 0.004
0.393 0.750 0.504
0.607 0.250 0.496
0.893 0.750 0.996
```

Most intense lines, 10° ≤ 2θ ≤ 90°, in order of rising 2θ:
(hkl), 2θ (°), d_spacing, I_rel
1 0 1, 12.8, 6.913, 100.0
1 0 2, 18.7, 4.740, 88.6
2 0 1, 21.8, 4.078, 33.4
1 1 1, 24.4, 3.646, 72.9
1 1 2, 28.0, 3.182, 82.8
2 1 0, 29.2, 3.063, 57.8
2 0 3, 31.4, 2.851, 67.0
0 1 3, 31.7, 2.826, 89.2
3 1 2, 40.7, 2.218, 38.3
4 1 3, 52.9, 1.730, 29.6

----------

1.
Starting from DFT lattice parameters and positions (PBE), the powder XRD pattern of Rb3BrF12 was calculated for copper Kα.
Neutral-atom scattering factors, no anomalous dispersion.

Structural model:
```
Rb3BrF12
1.0
4.8672 -4.8442 0.0000
4.8672 4.8442 0.0000
-0.5567 0.0000 7.4902
Rb Br F
3 1 12
Direct
0.0000 0.0000 0.0000
0.0000 0.5000 0.5000
0.5000 0.0000 0.5000
0.0000 0.0000 0.5000
0.0882 0.6380 0.1855
0.2063 0.3879 0.1763
0.3618 0.5099 0.7078
0.3620 0.9118 0.8145
0.3879 0.2063 0.1763
0.4901 0.6382 0.2922
0.5099 0.3618 0.7078
0.6121 0.7937 0.8237
0.6380 0.0882 0.1855
0.6382 0.4901 0.2922
0.7937 0.6121 0.8237
0.9118 0.3620 0.8145
```

Top 10 peaks for 2θ = 10–90°, in order of rising 2θ:
2θ = 11.82°, d = 7.490 Å, rel. 35; 2θ = 12.91°, d = 6.857 Å, rel. 30; 2θ = 21.85°, d = 4.068 Å, rel. 26; 2θ = 25.99°, d = 3.429 Å, rel. 100; 2θ = 26.51°, d = 3.362 Å, rel. 64; 2θ = 29.08°, d = 3.071 Å, rel. 25; 2θ = 29.19°, d = 3.059 Å, rel. 53; 2θ = 34.53°, d = 2.598 Å, rel. 43; 2θ = 36.46°, d = 2.464 Å, rel. 36; 2θ = 37.09°, d = 2.424 Å, rel. 29

2.
Starting from DFT lattice parameters and positions (PBE), the powder XRD pattern of RbSbBrF3 was calculated for copper Kα.
Neutral-atom scattering factors, no anomalous dispersion.

Structural model:
```
RbSbBrF3
1.0
4.5652 0.0000 0.0000
-1.8433 7.6591 0.0000
-1.4406 -3.6258 8.2230
Rb Sb Br F
2 2 2 6
Direct
0.0119 0.1872 0.3471
0.9881 0.8128 0.6529
0.3193 0.6598 0.2090
0.6807 0.3402 0.7910
0.4366 0.2725 0.0690
0.5634 0.7275 0.9310
0.2221 0.2645 0.6996
0.3006 0.6206 0.4147
0.3945 0.9407 0.3161
0.6055 0.0593 0.6839
0.6994 0.3794 0.5853
0.7779 0.7355 0.3004
```

Top 10 peaks for 2θ = 10–90°, in order of rising 2θ:
********
The materials data stop here

